File:
## i
# PaTiHg PBE-GGA optimized geometry
# Fermi-level density of states = 4.32 states/eV/f.u.
# space-group type = Imm2, No. 44
data_PaTiHg
_chemical_formula_sum 'Pa1 Ti1 Hg1'
_cell_length_a 7.972
_cell_length_b 7.972
_cell_length_c 7.972
_cell_angle_alpha 159.04
_cell_angle_beta 158.54
_cell_angle_gamma 30.17
_space_group_name_H-M_alt 'P 1'
_space_group_IT_number 1
loop_
_space_group_symop_operation_xyz
'x,y,z'
loop_
_atom_site_label
_atom_site_type_symbol
_atom_site_fract_x
_atom_site_fract_y
_atom_site_fract_z
Pa1 Pa 0.000 0.000 0.000
Ti1 Ti 0.163 0.663 0.500
Hg1 Hg 0.805 0.305 0.500

***

## ii
# PaTiHg PBE-GGA optimized geometry
# Fermi-level density of states = 6.60 states/eV/f.u.
# space-group type = P-6m2, No. 187
data_PaTiHg
_chemical_formula_sum 'Pa1 Ti1 Hg1'
_cell_length_a 4.996
_cell_length_b 4.996
_cell_length_c 3.080
_cell_angle_alpha 90.00
_cell_angle_beta 90.00
_cell_angle_gamma 120.00
_space_group_name_H-M_alt 'P 1'
_space_group_IT_number 1
loop_
_space_group_symop_operation_xyz
'x,y,z'
loop_
_atom_site_label
_atom_site_type_symbol
_atom_site_fract_x
_atom_site_fract_y
_atom_site_fract_z
Pa1 Pa 0.000 0.000 0.000
Ti1 Ti 0.667 0.333 0.500
Hg1 Hg 0.333 0.667 0.500

***

Top of the stability list: ii, leading by 0.144 eV/atom.

=====

[1]
Computed, not measured: a geometry-optimized PrHo3Er3 structure at the GGA-PBE level of DFT.

Lattice parameters (Å, degrees): 8.779 8.779 8.779 58.52 58.52 58.52
Fractional coordinates of all 14 atoms:
Pr (0.350, 0.350, 0.350)
Pr (0.650, 0.650, 0.650)
Ho (0.729, 0.571, 0.063)
Ho (0.063, 0.729, 0.571)
Ho (0.571, 0.063, 0.729)
Ho (0.429, 0.937, 0.271)
Ho (0.937, 0.271, 0.429)
Ho (0.271, 0.429, 0.937)
Er (0.715, 0.172, 0.935)
Er (0.172, 0.935, 0.715)
Er (0.935, 0.715, 0.172)
Er (0.065, 0.285, 0.828)
Er (0.828, 0.065, 0.285)
Er (0.285, 0.828, 0.065)

Properties
Energy: -4.38 eV per atom
Energy relative to the elements: 0.219 eV/atom


[2]
Computed, not measured: a geometry-optimized MgZrZnIn structure at the GGA-PBE level of DFT.

Lattice parameters (Å, degrees): 4.196 4.371 4.348 90.00 90.00 90.00
Fractional coordinates of all 4 atoms:
Mg (0.500, 0.000, 0.500)
Zr (0.500, 0.500, 0.000)
Zn (0.000, 0.000, 0.000)
In (0.000, 0.500, 0.500)

Properties
Energy: -3.80 eV per atom
Energy relative to the elements: -0.257 eV/atom


[3]
Computed, not measured: a geometry-optimized CaTaAg structure at the GGA-PBE level of DFT.

Lattice parameters (Å, degrees): 9.650 3.164 4.436 90.00 90.00 99.50
Fractional coordinates of all 6 atoms:
Ca (0.086, 0.629, 0.117)
Ca (0.534, 0.854, 0.617)
Ag (0.404, 0.289, 0.117)
Ag (0.216, 0.194, 0.617)
Ta (0.864, 0.019, 0.617)
Ta (0.755, 0.465, 0.117)

Properties
Energy: -5.35 eV per atom
Energy relative to the elements: 0.220 eV/atom


[4]
Computed, not measured: a geometry-optimized InCoPt2 structure at the GGA-PBE level of DFT.

Lattice parameters (Å, degrees): 4.479 4.479 4.479 60.00 60.00 60.00
Each line ends with the local moment (μB).
Fractional coordinates of all 4 atoms:
Co (0.500, 0.500, 0.500)  1.63
In (0.250, 0.250, 0.250)  -0.04
Pt (0.000, 0.000, 0.000)  0.09
Pt (0.750, 0.750, 0.750)  0.12

Properties
Energy: -5.55 eV per atom
Energy relative to the elements: -0.073 eV/atom

=====

Record 1
# ReBiSeN2 | Alexandria | GGA-PBE | optimized geometry
data_ReBiSeN2
_cell_length_a 3.992
_cell_length_b 3.992
_cell_length_c 5.282
_cell_angle_alpha 90.00
_cell_angle_beta 90.00
_cell_angle_gamma 90.00
_space_group_name_H-M_alt 'P 4/m m m'
_space_group_IT_number 123
_space_group_name_Hall '-P 4 2'
loop_
_atom_site_label
_atom_site_type_symbol
_atom_site_fract_x
_atom_site_fract_y
_atom_site_fract_z
_atom_site_occupancy
Re1 Re 0.000 0.000 0.000 1
Bi1 Bi 0.500 0.500 0.500 1
Se1 Se 0.000 0.000 0.500 1
N1 N 0.000 0.500 0.000 1
# - Excess energy over the best structure of this formula in the dataset: 0.000 eV/atom
# - Uncorrected formation energy: 274 kJ/mol of formula units
# - Total magnetic moment: 0.0 μB/f.u.

Record 2

Brief:
Return the whole of the block further up character by character.

Written answer:
## i
# PaTiHg PBE-GGA optimized geometry
# Fermi-level density of states = 4.32 states/eV/f.u.
# space-group type = Imm2, No. 44
data_PaTiHg
_chemical_formula_sum 'Pa1 Ti1 Hg1'
_cell_length_a 7.972
_cell_length_b 7.972
_cell_length_c 7.972
_cell_angle_alpha 159.04
_cell_angle_beta 158.54
_cell_angle_gamma 30.17
_space_group_name_H-M_alt 'P 1'
_space_group_IT_number 1
loop_
_space_group_symop_operation_xyz
'x,y,z'
loop_
_atom_site_label
_atom_site_type_symbol
_atom_site_fract_x
_atom_site_fract_y
_atom_site_fract_z
Pa1 Pa 0.000 0.000 0.000
Ti1 Ti 0.163 0.663 0.500
Hg1 Hg 0.805 0.305 0.500

***

## ii
# PaTiHg PBE-GGA optimized geometry
# Fermi-level density of states = 6.60 states/eV/f.u.
# space-group type = P-6m2, No. 187
data_PaTiHg
_chemical_formula_sum 'Pa1 Ti1 Hg1'
_cell_length_a 4.996
_cell_length_b 4.996
_cell_length_c 3.080
_cell_angle_alpha 90.00
_cell_angle_beta 90.00
_cell_angle_gamma 120.00
_space_group_name_H-M_alt 'P 1'
_space_group_IT_number 1
loop_
_space_group_symop_operation_xyz
'x,y,z'
loop_
_atom_site_label
_atom_site_type_symbol
_atom_site_fract_x
_atom_site_fract_y
_atom_site_fract_z
Pa1 Pa 0.000 0.000 0.000
Ti1 Ti 0.667 0.333 0.500
Hg1 Hg 0.333 0.667 0.500

***

Top of the stability list: ii, leading by 0.144 eV/atom.

=====

[1]
Computed, not measured: a geometry-optimized PrHo3Er3 structure at the GGA-PBE level of DFT.

Lattice parameters (Å, degrees): 8.779 8.779 8.779 58.52 58.52 58.52
Fractional coordinates of all 14 atoms:
Pr (0.350, 0.350, 0.350)
Pr (0.650, 0.650, 0.650)
Ho (0.729, 0.571, 0.063)
Ho (0.063, 0.729, 0.571)
Ho (0.571, 0.063, 0.729)
Ho (0.429, 0.937, 0.271)
Ho (0.937, 0.271, 0.429)
Ho (0.271, 0.429, 0.937)
Er (0.715, 0.172, 0.935)
Er (0.172, 0.935, 0.715)
Er (0.935, 0.715, 0.172)
Er (0.065, 0.285, 0.828)
Er (0.828, 0.065, 0.285)
Er (0.285, 0.828, 0.065)

Properties
Energy: -4.38 eV per atom
Energy relative to the elements: 0.219 eV/atom


[2]
Computed, not measured: a geometry-optimized MgZrZnIn structure at the GGA-PBE level of DFT.

Lattice parameters (Å, degrees): 4.196 4.371 4.348 90.00 90.00 90.00
Fractional coordinates of all 4 atoms:
Mg (0.500, 0.000, 0.500)
Zr (0.500, 0.500, 0.000)
Zn (0.000, 0.000, 0.000)
In (0.000, 0.500, 0.500)

Properties
Energy: -3.80 eV per atom
Energy relative to the elements: -0.257 eV/atom


[3]
Computed, not measured: a geometry-optimized CaTaAg structure at the GGA-PBE level of DFT.

Lattice parameters (Å, degrees): 9.650 3.164 4.436 90.00 90.00 99.50
Fractional coordinates of all 6 atoms:
Ca (0.086, 0.629, 0.117)
Ca (0.534, 0.854, 0.617)
Ag (0.404, 0.289, 0.117)
Ag (0.216, 0.194, 0.617)
Ta (0.864, 0.019, 0.617)
Ta (0.755, 0.465, 0.117)

Properties
Energy: -5.35 eV per atom
Energy relative to the elements: 0.220 eV/atom


[4]
Computed, not measured: a geometry-optimized InCoPt2 structure at the GGA-PBE level of DFT.

Lattice parameters (Å, degrees): 4.479 4.479 4.479 60.00 60.00 60.00
Each line ends with the local moment (μB).
Fractional coordinates of all 4 atoms:
Co (0.500, 0.500, 0.500)  1.63
In (0.250, 0.250, 0.250)  -0.04
Pt (0.000, 0.000, 0.000)  0.09
Pt (0.750, 0.750, 0.750)  0.12

Properties
Energy: -5.55 eV per atom
Energy relative to the elements: -0.073 eV/atom

=====

Record 1
# ReBiSeN2 | Alexandria | GGA-PBE | optimized geometry
data_ReBiSeN2
_cell_length_a 3.992
_cell_length_b 3.992
_cell_length_c 5.282
_cell_angle_alpha 90.00
_cell_angle_beta 90.00
_cell_angle_gamma 90.00
_space_group_name_H-M_alt 'P 4/m m m'
_space_group_IT_number 123
_space_group_name_Hall '-P 4 2'
loop_
_atom_site_label
_atom_site_type_symbol
_atom_site_fract_x
_atom_site_fract_y
_atom_site_fract_z
_atom_site_occupancy
Re1 Re 0.000 0.000 0.000 1
Bi1 Bi 0.500 0.500 0.500 1
Se1 Se 0.000 0.000 0.500 1
N1 N 0.000 0.500 0.000 1
# - Excess energy over the best structure of this formula in the dataset: 0.000 eV/atom
# - Uncorrected formation energy: 274 kJ/mol of formula units
# - Total magnetic moment: 0.0 μB/f.u.

Record 2